Brief:
Quote the calculation results further down from the line with "-2.79105" to the end with every line break kept, please.
Input:
........
(1)
DFT (the ωB97M-V functional and the def2-TZVPD basis) results for 4 unconnected molecules or ions with the total composition C43H57BClF9INO13.

highest occupied orbital energy = -8.8 eV
strongest force on any atom = 4.37 eV Å⁻¹
SMILES string = CCCNc1cc(B(C)O)c2c(c1COCOCCO)C(=O)c1c(C[C@@H](C)Cl)cc(COCC)c(C[C@@H](C)I)c1C2=O.CCOC(=O)C(F)(F)F.CCOC(=O)C(F)(F)F.CCOC(=O)C(F)(F)F
electronic energy = -4386.72589 Ha
HOMO-LUMO gap = 7.8 eV

Geometry as ORCA input:
```
! wB97M-V def2-TZVPD RIJCOSX def2/J DEFGRID3
* xyz 0 1
I 6.90132 7.34698 1.41687
Cl 0.71285 -0.13911 -1.28545
F -9.37105 -9.58986 1.25582
F -7.62398 -9.17811 0.05274
F -6.62418 -0.81490 0.20242
F 3.82484 3.52684 -5.87557
F -7.53648 0.57282 -1.17659
F -7.43582 -9.41194 2.19596
F 3.96262 1.39029 -5.57880
F 3.40373 2.17300 -7.51091
F -6.25475 -1.00478 -1.91802
O -3.16733 -1.75034 4.62641
O -5.31826 -3.45062 4.38337
O -1.68586 -1.79148 2.74166
O -0.95774 2.29045 1.22805
O -9.10897 -1.36993 -2.26492
O 3.14644 3.96733 3.37983
O 6.58280 1.82220 -6.31824
O -8.69977 -2.53453 -0.37447
O 5.87285 3.25778 -7.91030
O 5.37561 2.35162 4.33491
O 5.86504 4.83591 -2.13247
O -7.26917 -6.75644 1.60423
O -9.51093 -6.83812 1.34386
N 0.91238 -2.66592 3.81878
C 1.03119 3.05709 -1.22265
C -0.29321 2.50324 -1.93468
C 6.28516 3.56245 -2.67648
C -3.99928 -4.01905 4.12454
C -0.18376 0.98457 -2.44221
C 1.00808 1.06033 2.26908
C -7.86685 -4.94804 3.12509
C 1.32787 2.88555 0.31187
C 4.47407 5.11114 -2.40398
C 2.78841 3.10681 2.54631
C -10.25435 -2.20091 -2.51866
C -11.41554 -1.82179 -1.61914
C 3.45122 4.38106 -1.39591
C 3.82316 7.07478 1.61580
C 7.67515 2.20021 -9.16507
C 2.34263 1.59540 2.92096
C 5.05874 4.79521 0.85008
C -8.44111 -7.39078 1.40280
C -7.34547 -5.32752 1.75278
C 0.28079 2.09253 1.25681
C 2.65780 -0.71878 4.16210
C 7.22761 3.40986 -8.36649
C -0.92759 -0.90982 1.87124
C -8.41481 -1.65191 -1.14447
C 1.69274 -3.63144 2.98269
C -2.89636 -3.14627 4.94824
C 3.72842 4.20571 0.15036
C 6.73026 2.57099 -1.46253
C 0.18666 -3.95515 0.75837
C -8.22135 -8.89027 1.22962
C 5.69385 2.42403 -6.86621
C -1.99349 -1.15448 3.99689
C -7.21074 -0.72572 -1.00584
C 2.15504 3.80309 -2.03908
C 4.22437 2.37444 -6.45891
C 5.30415 0.05095 5.58654
C 1.32224 -1.25567 3.51591
C 0.44236 -0.37717 2.54170
C 2.65640 3.43286 0.96616
C 1.56092 -3.41947 1.40221
C 5.01831 6.41985 0.75526
C 3.21262 0.73434 3.87379
C 0.49301 0.94287 -3.91637
B 4.61844 1.14642 4.55613
H -8.88915 -5.30410 3.27637
H 0.37336 -5.02586 0.37112
H -3.92239 -5.12224 4.40628
H 3.49530 8.03546 1.05630
H -7.25473 -5.40548 3.90573
H 2.80844 -3.68680 3.29345
H -7.85994 -3.86541 3.25538
H 4.87273 6.78367 -0.33140
H -0.06866 -3.33851 -0.18673
H -3.01389 -3.36822 6.07958
H 2.40773 -4.04700 0.92079
H -1.13308 -1.31374 4.75748
H 5.11597 4.53485 1.96261
H -1.22966 0.51030 -2.58414
H -7.95010 -4.89057 0.95247
H -0.70222 -3.98064 1.47739
H 1.15027 -2.83873 4.80644
H 2.91094 6.38510 1.64460
H -12.30103 -2.41114 -1.86210
H 3.18991 -1.46647 4.84543
H -2.13151 -0.00874 3.91170
H 1.72049 -2.34863 1.04076
H 6.34231 0.43804 5.89084
H 4.23488 6.24046 -2.35230
H -1.64960 -0.04386 1.60509
H 7.68293 1.29686 -8.55042
H -3.78030 -3.81518 3.01209
H -0.54640 3.23916 -2.79105
H -1.19498 2.54782 -1.22095
H 6.02174 4.47364 0.32676
H -0.65059 -1.39515 0.87226
H 8.67966 2.35036 -9.56366
H 6.98631 2.01307 -9.99284
H -11.65178 -0.76010 -1.72776
H 0.48922 -0.09610 -4.38566
H -10.53564 -2.03806 -3.56186
H -6.32929 -4.94345 1.63294
H 4.69928 -0.10483 6.54184
H 5.49752 3.03340 -3.31655
H -5.44980 -2.65904 3.80586
H -11.17453 -1.98550 -0.56606
H 1.26756 -4.68491 3.20972
H 7.89525 3.61074 -7.52342
H 5.50341 -0.94139 5.02030
H -0.14646 1.64986 -4.57344
H 7.24573 4.29445 -9.00758
H 5.91711 2.50020 -0.64736
H -1.84867 -3.49194 4.64708
H 1.99614 3.91764 -3.17392
H 4.29215 4.79784 -3.50513
H 5.97081 2.29097 3.55838
H -9.99033 -3.25787 -2.41866
H 7.62138 3.10131 -0.95102
H 1.55439 1.36478 -3.85322
H 7.23717 3.68507 -3.31961
H 4.19323 7.39267 2.64763
H 7.02741 1.53128 -1.84160
*
```
........
Done:
H -0.54640 3.23916 -2.79105
H -1.19498 2.54782 -1.22095
H 6.02174 4.47364 0.32676
H -0.65059 -1.39515 0.87226
H 8.67966 2.35036 -9.56366
H 6.98631 2.01307 -9.99284
H -11.65178 -0.76010 -1.72776
H 0.48922 -0.09610 -4.38566
H -10.53564 -2.03806 -3.56186
H -6.32929 -4.94345 1.63294
H 4.69928 -0.10483 6.54184
H 5.49752 3.03340 -3.31655
H -5.44980 -2.65904 3.80586
H -11.17453 -1.98550 -0.56606
H 1.26756 -4.68491 3.20972
H 7.89525 3.61074 -7.52342
H 5.50341 -0.94139 5.02030
H -0.14646 1.64986 -4.57344
H 7.24573 4.29445 -9.00758
H 5.91711 2.50020 -0.64736
H -1.84867 -3.49194 4.64708
H 1.99614 3.91764 -3.17392
H 4.29215 4.79784 -3.50513
H 5.97081 2.29097 3.55838
H -9.99033 -3.25787 -2.41866
H 7.62138 3.10131 -0.95102
H 1.55439 1.36478 -3.85322
H 7.23717 3.68507 -3.31961
H 4.19323 7.39267 2.64763
H 7.02741 1.53128 -1.84160
*
```